‘I’m just getting a bit of toast. Would you like some?” Katie Price asks.
Yes please, I say.
She looks at her nine-year-old son, Jett.
“D’you want some toast?”
“Nah,” he says.
“Naaaaah!” she repeats, gently mocking him.
She’s wearing trackie bottoms, a T-shirt and hardly any makeup. People expect her to be glamorous, she says, but this is what she’s happiest in.
“D’you want blackberry jam on the toast? There are flies everywhere in this house.” She swats at them and apologises.
We’re at Mucky Mansion, her Sussex home, a riot of pink kitsch, barking chihuahuas, caged gerbils, kids’ artwork, Price mementoes and battle-hardened flies. “That’s one thing I hate about living in the country. Flies. You’d think I’m a piece of shit the way they fly around me.”
Price was recently diagnosed with attention deficit hyperactivity disorder (ADHD), and she talks non-stop, juggling multiple conversations in one breath. She passes me a mug of tea and the toast. Blimey, I say, you haven’t half slapped the jam on. “Don’t you like it that thick? Everything is fattening in this house!” The mug, from her heyday, shows Price topless. How have you changed since then, I ask. She looks at the mug thoughtfully. “My areolas definitely don’t look like that. They’re smaller. Surgically done. That was one of my first boob jobs.”

Price, now 45, was one of the first celebs to allow cameras into her life, revealing everything – family dramas, business deals, surgical enhancements and diminishments. In a way, her body was the least intimate thing she exposed. I first interviewed her 15 years ago, when she was on a roll. After starting her career on the Sun’s Page 3 with the name Jordan, she reverted to her real name and became the superbrand Katie Price, selling perfume, makeup, clothes. She was also a bestselling author, married to her first husband, pop star Peter Andre. The headline to the interview was: “Who wants to be a billionaire? Katie Price does – and she might even make it.” She was worth £30m at the time.
Today, she is bankrupt, has been divorced three times and suffered a breakdown. She is still tabloid gold, albeit in a different way. Rarely does a day pass without a new Price horror story. According to many newspapers, she is at rock bottom. But she is also still the Katie Price of old – tough, warm, open, outrageous.
“What d’you think of all that Russell Brand stuff?” she asks. “I’ve met Russell a few times. His bodyguard used to be mine.” She pauses. “I thought he was quite a nice guy, actually, quite funny. We were stuck in LAX airport with him once. He had his girlfriend with him and I was with Pete. He was trying to pull my stylist when his girlfriend was out there standing with her, so to me that says a lot. The truth always comes out in the end.”
Do you think it has always been easy for celebs to get away with bad stuff? “A lot of people with status get away with things. People cover up for them and a load of people get paid off.” Price tells me she has been raped three times – as a seven-year-old in a park; by a celebrity; and at gunpoint in South Africa when she was carjacked in 2018. “When I was in the Priory my therapist said: ‘Kate, we’ve never known anyone to have so many traumatic events happen to them.’ And I’m still here, coping.”
As we talk, her younger sister Sophie, with whom she now does a podcast called The Katie Price Show, listens in on Zoom to make sure she behaves herself. Sophie couldn’t be more different – quiet, sensible, contained. Family has been the ballast in Price’s life. Her biological father, Ray, left home when she was four, but she remains close to him as well as to her mother, Amy, and stepfather, Paul.
Were men exploitative when she started modelling? Yes and no, she says. “They treated me as a product.” She looks at the mug in my hands. “That wasn’t airbrushed. Men aside, for me it was a brilliant time because you really had to work. You had goals. I wanted to be on the cover of this magazine or that. Where are the goals now?” Today, she models on subscription site OnlyFans. “I still do underwear stuff, but I don’t go completely topless. I don’t need to and I don’t want to because my kids are older. But you can’t take the animal out of me in the way I love being in front of the camera. It’s what I’m good at, what I like. Sitting here now, I’m not the best looking, but put me in front of a camera and I’ll wipe the shit with anyone.”
She gets more animated. “And. That. Is. Confidence,” she says. Now she’s shouting. “And that is a fact! Hahahahaha!” She swipes at a fly. “All these flies, I’m so sorry. I’ve just got rid of a hornet’s nest out there.”

### Records of molecules, kept here for reference
Record 1
{
  "formula": "C14H36BaClN2O9",
  "method": "ωB97M-V/def2-TZVPD",
  "species": ["H", "H", "H", "H", "H", "H", "H", "H", "C", "C", "H", "C", "H", "Cl", "C", "O", "H", "H", "O", "H", "H", "C", "N", "H", "H", "C", "C", "H", "O", "H", "H", "C", "H", "O", "O", "H", "O", "H", "H", "C", "C", "H", "C", "H", "Ba", "O", "C", "H", "O", "H", "H", "O", "H", "H", "H", "C", "H", "C", "H", "H", "H", "H", "N"],
  "xyz": [[37.74339, -1.75791, -3.40813], [36.42143, -2.03305, -0.01543], [35.07993, 2.02736, -10.66497], [37.81493, 1.86841, -3.54254], [33.33220, 3.02556, -4.03585], [34.68845, 1.96052, -5.66694], [34.61177, -4.35407, -2.40993], [37.25476, -3.26094, -1.84854], [33.29805, 1.94623, -4.20179], [35.85901, -4.39813, -3.98403], [32.19755, 2.06004, -6.05173], [35.76988, 2.19255, -4.04362], [32.67460, -4.54494, -6.60815], [35.87200, -0.99117, -7.71007], [35.26335, 0.07534, -1.14575], [34.41484, -3.66916, -5.74511], [35.66352, 2.23846, -2.95893], [34.55390, 0.57934, -1.81070], [35.11499, -1.27025, -1.52626], [35.02140, -5.67742, -5.59489], [33.77568, 3.29448, -12.25476], [34.01064, 1.80299, -10.67555], [34.63805, 1.56002, -4.73266], [36.67074, -3.85854, -4.47126], [34.99542, 0.33213, -0.11810], [33.54977, -3.92095, -6.82346], [31.05144, -0.41192, -5.95992], [36.28312, -4.36876, -0.99881], [35.51057, -1.81843, -8.81023], [34.01974, -4.33699, -7.71885], [33.75532, 0.97240, -11.33756], [32.17875, 1.46575, -5.12791], [31.24154, -1.41113, -6.34813], [36.43247, 0.25837, -8.19152], [36.79851, -1.64495, -6.80263], [33.07406, 1.49506, -3.22689], [32.19994, 0.06154, -5.28313], [35.97217, 3.22189, -4.35895], [33.86189, -5.10387, -4.40419], [34.74806, -4.81144, -4.99036], [37.09379, 1.42922, -4.23689], [36.27609, -5.31994, -3.56185], [36.20786, -3.48300, -1.63754], [30.19719, -0.49190, -5.27090], [34.43282, -1.36272, -4.15771], [33.54086, 1.63098, -9.35072], [33.38117, 3.06591, -11.26348], [34.88430, -2.74785, -0.10081], [34.65166, -0.66956, -6.96169], [33.65145, 3.91255, -10.62601], [32.29244, 3.03629, -11.32450], [36.83963, 0.07593, -3.82631], [38.66102, -0.69658, -4.45673], [38.50197, -0.35215, -2.70511], [33.13191, -2.98146, -7.19635], [35.65903, -2.31735, -0.74541], [34.24876, 1.23678, -8.82976], [37.98651, -0.71308, -3.60038], [30.70667, 0.24509, -6.76042], [37.51124, 1.39465, -5.24315], [31.21120, 1.77827, -4.70927], [36.24481, 0.51186, -1.34836], [35.29705, -3.69633, -2.77041]],

Which magazine cover did you most want to be on? “American Playboy. And I was.” How much did they pay you? “I think it was 250 grand. I lived in the mansion for about six weeks. Hugh Hefner wanted me to be his girlfriend but I wasn’t going to be having sex with him, so that was a no-no. It was like looking at my grandad.”
I’m staring at her teeth as she talks. They’re so white, I say. “Turkey,” she says instantly. How much? “Free. For an Instagram post. I don’t recommend anyone has fake teeth.” Why? “I can’t eat a chocolate eclair now in case I pull one out.”
I’ve always liked your honesty, I say. “Oh, here we go!” she says, shouting and laughing. “He’s going to ask surgery questions. How much surgery have you had? I don’t know. How many boob jobs? I don’t know. Will I be having more surgery? Yes. What? I don’t know. Does it make me feel better having surgery? I’m older. I’m gonna do it. There you go, I answered that all in one!”
Actually, she says, she’s appalled by what girls and young women do to themselves these days. “Apart from my boobs, I did my whole career without surgery. I’m now 45 and if I want to have my face done, my nose done, I will. Now I’m as fake as you like, and I love it. But I do feel bad for girls in their early 20s or even younger getting fillers. When I see young girls they look like clones – puffy-faced, pucker-fish aliens. It’s really sad.”
Price was only 18 when she first had surgery. “I think 21 should be the minimum age for boob jobs. Back then, my mum was ‘don’t do it, don’t do it’ and it wasn’t as common. Now boob jobs are like buying a pair of shoes.”
Do her surgical procedures reflect her state of mind? “You’re going to start trying to get in my head. Body dysmorphia this, body dysmorphia that. I might have body dysmorphia. My mum thinks there’s a pattern. If something happens in my life, I go for surgery. I’m good with anaesthetic – I’m never sick and I like being put to sleep. It’s such a nice feeling, and you wake up with something new. Sometimes I look in the mirror and think, ‘Oh my God, Kate, what have you done?’ But, you know what, I don’t have any filler in my face, only my lips.”
The past five years have been grim. As well as the rape in South Africa and bankruptcy, she has divorced her third husband, the actor Kieran Hayler. At the same time, she has been bringing up her five children, including her oldest, Harvey, who is severely disabled. It all expressed itself in a complete breakdown. In 2021, she received a 16-week suspended sentence after flipping her car while under the influence of cocaine and alcohol. She was driving while disqualified and without insurance. At the time, she issued a statement saying she was “incredibly sorry” and “sincerely grateful nobody was hurt”. She avoided prison by agreeing to go to the Priory.
How did she lose all her money? “The ex-husbands were on my case, all three of them. Then lawyers. They all wanted money. Money. Money. Money. Then obviously tax. When you’re having a breakdown and you’re suicidal, you shut the world off. You don’t talk to anyone, you don’t answer your phone, you don’t open your letters, and before you know it you’ll have a bailiff at your door. Then the work stops because your head’s not there to do it. It’s all noise in your head. Bills coming in, bills coming in, you hear your husband’s cheating on you, and it all just magnifies.” She’s talking about Hayler. “You’re just trying to be there for the kids, which I was. You’re trying to keep it together and all you want to do is go under the covers and hide. I was ill. Ill. Ill. Ill. That’s why I went in the Priory.”

Meanwhile, the press reported she was a drug addict. It wasn’t true, she says. “I self-medicated when I had the breakdown. Up until then I’d never been known as a drug taker. I’d have a drink, but I’m a lightweight. So yes, I went in the Priory, but it wasn’t for addiction, even though the papers said it was. It was for severe PTSD.”
Sophie is still on Zoom, listening. Price looks at her. “I don’t know if I told you I tried to kill myself. It just came out when I was in the Priory, didn’t it?” Did Sophie think her sister would survive? Price answers for her. “I dunno. At one point it was a bit dodge, wasn’t it, Soph?”
“Our main thing at the time was just getting her help,” Sophie says. How is Katie doing now? “I think she’s in a positive place. There are still days where she has her little wobbles. But she’s nothing like she has been.”
You seem pretty positive, considering everything, I say to Price. She is, she says – the press keep reporting that she’s at an all-time low, but that was a couple of years ago. Sure, the bankruptcy is worrying, but she knows she’ll always be able to make money, and she’ll eventually be able to pay back the £3.2m she owes. And money is nothing compared to her sanity. “I’ve been in the shittest place you could imagine. Once you’ve hit rock bottom, and the media has shafted you, and you come through it, then it’s amazing. And I have. The bomb’s exploded, I’ve survived it somehow, picked up the pieces, and I’m starting my journey again.”
One corner of the kitchen is covered with cards and drawings from the kids. There is a message from 21-year-old Harvey alongside his picture of a packet of Skips. “To Mummy, I love this packet of Skips. Just take the time and eat it very slowly. I hope you enjoy these Skips. Love from Harvey xxx.”
Price says all she asks for from the media is a bit of fairness. Sure, she’s done plenty of stupid things, but, she says, she’s also been a great mum. She has made two deeply moving documentaries about Harvey that don’t sugarcoat their struggles but show their profound love. He now lives in a special school that she hopes will help him live independently, but he remains at the heart of the family. “He still bangs his head, still smashes things. He smashed the car window. It hasn’t been fixed yet. There’s no telly in here, because he smashed it again. And he’s just smashed an iPad, so I’ve bought another one for him. That’s just Harvey.”
He is obsessed with trains, and recently made the Guinness World Records for drawing the longest picture of a train – 21.3 metres. She couldn’t be more proud. “One thing I love about Harvey is that he doesn’t judge me. He just loves me. He just wants my love and cuddles.” His father, former footballer Dwight Yorke, has never shown any interest in having a relationship with Harvey, and Price still hopes that one day he will. “The door is always open. I would love the day I see Dwight and Harvey in front of each other. My mum still contacts his manager every year, and asks does he want to see Harvey for his birthday, and it’s always the same – no.” She says Yorke doesn’t know what he’s missing out on. “I just want Dwight to know what a gorgeous young man Harvey is. Harvey has so much banter. He’s just a funny little bastard. You never know what’s going to come out of his mouth. He rules the roost when he’s home.”

Price and Harvey have received shocking abuse online, leading her to campaign for Harvey’s Law, which would make such abuse an offence and open a register of offenders. Earlier this month the online safety bill was passed, including some of the measures she was hoping for. Again, she says, it would be nice to get some credit: “I think I’ve had an influence on this going through, and will continue to fight for Harvey’s Law.”
Thankfully, she knows Mucky Mansion is not under threat. “People write about me as if I’ve not got a pot to piss in. My £2.5m house is protected. It’s mine – no one can ever take it.” As for the threat of prison over her bankruptcy, she says that doesn’t scare her. “If I could go to jail to clear all this, I would, because it’s driving me nuts.” Meanwhile, she’s busy rebuilding her portfolio, taking her podcast with Sophie on the road and developing two programmes for Channel 4.
She has overcome so many challenges, she says, and bankruptcy is just another one. Meanwhile, she is feeling more positive about life than in years. “There is a fire in my belly. Yes, I do suffer mental health stuff; yes, I suffer with PTSD; yes, I still have a lot of pressures with things going on – but it’s all controlled. I’ve got through it.” She sticks two fingers up. “So, up yours! Basically, fuck you all! What is it Arnie says? ‘I’ll be back.’ And Pricey is back. Don’t. You. Worry. About. That.”
• The Katie Price Show Live is on 7 November at the Lowry theatre, Salford.
• In the UK and Ireland, Samaritans can be contacted on freephone 116 123, or email jo@samaritans.org or jo@samaritans.ie. In the US, you can call or text the National Suicide Prevention Lifeline on 988, chat on 988lifeline.org, or text HOME to 741741 to connect with a crisis counselor. In Australia, the crisis support service Lifeline is 13 11 14. Other international helplines can be found at befrienders.org